What to do =
Please echo the part of the material below that starts with the line with "**Total energy**:" and stops after the one with "0.000 0.234".

Entries =
+++
Compound: Ca2Mg2B4O13
Source: the Materials Project
Functional: PBE
Structure: optimized geometry

Computed properties:
**Total energy**: -561.245 eV per cell
**Total moment**: 24.0 μB/cell
**ΔH_f (0 K)**: -2.43 eV/atom

Lattice parameters (Å, degrees): 8.563 8.626 13.257 90.00 90.00 90.00
Fractional coordinates of all 84 atoms:
Ca 0.255 0.268 0.362
Ca 0.745 0.732 0.638
Ca 0.255 0.732 0.638
Ca 0.745 0.232 0.862
Ca 0.745 0.268 0.362
Ca 0.255 0.768 0.138
Ca 0.745 0.768 0.138
Ca 0.255 0.232 0.862
Mg 0.000 0.033 0.238
Mg 0.000 0.967 0.762
Mg 0.000 0.467 0.738
Mg 0.000 0.533 0.262
Mg 0.000 0.000 0.500
Mg 0.000 0.500 0.000
Mg 0.000 0.000 0.000
Mg 0.000 0.500 0.500
B 0.500 0.282 0.206
B 0.500 0.718 0.794
B 0.500 0.218 0.706
B 0.500 0.782 0.294
B 0.500 0.263 0.020
B 0.500 0.737 0.980
B 0.500 0.237 0.520
B 0.500 0.763 0.480
B 0.287 0.130 0.118
B 0.713 0.870 0.882
B 0.287 0.870 0.882
B 0.713 0.370 0.618
B 0.713 0.130 0.118
B 0.287 0.630 0.382
B 0.713 0.630 0.382
B 0.287 0.370 0.618
O 0.159 0.035 0.120
O 0.841 0.965 0.880
O 0.159 0.965 0.880
O 0.841 0.465 0.620
O 0.841 0.035 0.120
O 0.159 0.535 0.380
O 0.841 0.535 0.380
O 0.159 0.465 0.620
O 0.500 0.164 0.422
O 0.500 0.836 0.578
O 0.500 0.336 0.922
O 0.500 0.664 0.078
O 0.353 0.186 0.206
O 0.647 0.814 0.794
O 0.353 0.814 0.794
O 0.647 0.314 0.706
O 0.647 0.186 0.206
O 0.353 0.686 0.294
O 0.647 0.686 0.294
O 0.353 0.314 0.706
O 0.500 0.374 0.297
O 0.500 0.626 0.703
O 0.500 0.126 0.797
O 0.500 0.874 0.203
O 0.130 0.018 0.373
O 0.870 0.982 0.627
O 0.130 0.982 0.627
O 0.870 0.482 0.873
O 0.870 0.018 0.373
O 0.130 0.518 0.127
O 0.870 0.518 0.127
O 0.130 0.482 0.873
O 0.500 0.368 0.109
O 0.500 0.632 0.891
O 0.500 0.132 0.609
O 0.500 0.868 0.391
O 0.354 0.169 0.026
O 0.646 0.831 0.974
O 0.354 0.831 0.974
O 0.646 0.331 0.526
O 0.646 0.169 0.026
O 0.354 0.669 0.474
O 0.646 0.669 0.474
O 0.354 0.331 0.526
O 0.000 0.234 0.455
O 0.000 0.766 0.545
O 0.000 0.266 0.955
O 0.000 0.734 0.045
O 0.000 0.280 0.270
O 0.000 0.720 0.730
O 0.000 0.220 0.770
O 0.000 0.780 0.230
+++

Solution =
**Total energy**: -561.245 eV per cell
**Total moment**: 24.0 μB/cell
**ΔH_f (0 K)**: -2.43 eV/atom

Lattice parameters (Å, degrees): 8.563 8.626 13.257 90.00 90.00 90.00
Fractional coordinates of all 84 atoms:
Ca 0.255 0.268 0.362
Ca 0.745 0.732 0.638
Ca 0.255 0.732 0.638
Ca 0.745 0.232 0.862
Ca 0.745 0.268 0.362
Ca 0.255 0.768 0.138
Ca 0.745 0.768 0.138
Ca 0.255 0.232 0.862
Mg 0.000 0.033 0.238
Mg 0.000 0.967 0.762
Mg 0.000 0.467 0.738
Mg 0.000 0.533 0.262
Mg 0.000 0.000 0.500
Mg 0.000 0.500 0.000
Mg 0.000 0.000 0.000
Mg 0.000 0.500 0.500
B 0.500 0.282 0.206
B 0.500 0.718 0.794
B 0.500 0.218 0.706
B 0.500 0.782 0.294
B 0.500 0.263 0.020
B 0.500 0.737 0.980
B 0.500 0.237 0.520
B 0.500 0.763 0.480
B 0.287 0.130 0.118
B 0.713 0.870 0.882
B 0.287 0.870 0.882
B 0.713 0.370 0.618
B 0.713 0.130 0.118
B 0.287 0.630 0.382
B 0.713 0.630 0.382
B 0.287 0.370 0.618
O 0.159 0.035 0.120
O 0.841 0.965 0.880
O 0.159 0.965 0.880
O 0.841 0.465 0.620
O 0.841 0.035 0.120
O 0.159 0.535 0.380
O 0.841 0.535 0.380
O 0.159 0.465 0.620
O 0.500 0.164 0.422
O 0.500 0.836 0.578
O 0.500 0.336 0.922
O 0.500 0.664 0.078
O 0.353 0.186 0.206
O 0.647 0.814 0.794
O 0.353 0.814 0.794
O 0.647 0.314 0.706
O 0.647 0.186 0.206
O 0.353 0.686 0.294
O 0.647 0.686 0.294
O 0.353 0.314 0.706
O 0.500 0.374 0.297
O 0.500 0.626 0.703
O 0.500 0.126 0.797
O 0.500 0.874 0.203
O 0.130 0.018 0.373
O 0.870 0.982 0.627
O 0.130 0.982 0.627
O 0.870 0.482 0.873
O 0.870 0.018 0.373
O 0.130 0.518 0.127
O 0.870 0.518 0.127
O 0.130 0.482 0.873
O 0.500 0.368 0.109
O 0.500 0.632 0.891
O 0.500 0.132 0.609
O 0.500 0.868 0.391
O 0.354 0.169 0.026
O 0.646 0.831 0.974
O 0.354 0.831 0.974
O 0.646 0.331 0.526
O 0.646 0.169 0.026
O 0.354 0.669 0.474
O 0.646 0.669 0.474
O 0.354 0.331 0.526
O 0.000 0.234 0.455